_Job_
Could you set down only the last part of the rows further down, starting with the line that has "(0.5000, 0.2324,"?
_Given_
[1]
Density functional theory data (PBE with a Hubbard U) for a geometry-optimized Fe2OF3 structure.

Cell lengths 3.1058, 9.6890, 4.8512 Å; angles 90.00, 90.00, 90.00 degrees
Closest atoms and distances in Å follow each position.
Fractional positions:
Fe (0.0000, 0.1298, 0.0000)  1 O 2.04, 5 F 2.08-2.14
Fe (0.0000, 0.6380, 0.0553)  2 O 1.89, 2 F 2.03-2.08
Fe (0.5000, 0.3620, 0.5553)  2 O 1.89, 2 F 2.03-2.08
Fe (0.5000, 0.8702, 0.5000)  1 O 2.04, 5 F 2.08-2.14
O (0.0000, 0.2843, 0.7148)  3 Fe 1.89-2.04
O (0.5000, 0.7157, 0.2148)  3 Fe 1.89-2.04
F (0.0000, 0.4714, 0.3268)  3 Fe 2.08-2.18
F (0.0000, 0.7676, 0.7254)  3 Fe 2.03-2.14
F (0.0000, 0.9800, 0.3174)  3 Fe 2.08-2.12
F (0.5000, 0.0200, 0.8174)  3 Fe 2.08-2.12
F (0.5000, 0.2324, 0.2254)  3 Fe 2.03-2.14
F (0.5000, 0.5286, 0.8268)  3 Fe 2.08-2.18

Computed properties:
As for the energy above the most stable polymorph in this dataset: 0.038 eV/atom. The formation energy from the elements comes out at -220.3 kJ per mole of atoms. For the magnetization, the calculation gives 18.000 μB per cell.

[2]
Density functional theory data (PBE with a Hubbard U) for a geometry-optimized Fe6O7F5 structure.

Cell lengths 4.7828, 5.6561, 7.7140 Å; angles 84.59, 87.83, 86.38 degrees
Closest atoms and distances in Å follow each position.
Fractional positions:
Fe (0.0000, 0.0000, 0.0000)  3 O 1.92-1.95, 3 F 2.06-2.09
Fe (0.0039, 0.3119, 0.6582)  3 O 1.94-2.00, 3 F 1.99-2.10
Fe (0.0410, 0.6724, 0.3269)  3 O 1.90-2.00, 3 F 2.01-2.12
Fe (0.4797, 0.1401, 0.3201)  5 O 1.92-2.01
Fe (0.5310, 0.4768, 0.9933)  3 O 1.93-2.02, 3 F 2.08-2.10
Fe (0.5741, 0.8453, 0.6585)  4 O 1.95-2.04, 1 F 2.14
O (0.2067, 0.9452, 0.2130)  3 Fe 1.90-2.01
O (0.3227, 0.4486, 0.2266)  3 Fe 1.94-2.02
O (0.3236, 0.1224, 0.5530)  3 Fe 1.92-2.04
O (0.7012, 0.1850, 0.1047)  3 Fe 1.92-1.94
O (0.7165, 0.5300, 0.7635)  3 Fe 1.96-1.99
O (0.7168, 0.8712, 0.4182)  3 Fe 1.95-2.00
O (0.8342, 0.0334, 0.7714)  3 Fe 1.94-1.97
F (0.2084, 0.6180, 0.5631)  2 Fe 2.01-2.10
F (0.2164, 0.2904, 0.8924)  3 Fe 2.09-2.10
F (0.3212, 0.7890, 0.8915)  3 Fe 2.08-2.14
F (0.8242, 0.6859, 0.0908)  3 Fe 2.06-2.12
F (0.8318, 0.3788, 0.4263)  2 Fe 1.99-2.06

Computed properties:
As for the energy above the most stable polymorph in this dataset: 0.015 eV/atom. The formation energy from the elements comes out at -183.3 kJ per mole of atoms. For the magnetization, the calculation gives 29.001 μB per cell.

[3]
Density functional theory data (PBE with a Hubbard U) for a geometry-optimized Fe5O3F7 structure.

Cell lengths 4.7975, 4.7975, 15.6822 Å; angles 90.31, 90.31, 91.39 degrees
Closest atoms and distances in Å follow each position.
Fractional positions:
Fe (0.0000, 0.0000, 0.0000)  2 O 1.89, 2 F 2.01
Fe (0.0499, 0.0171, 0.1940)  2 O 1.87-1.91, 2 F 2.07-2.08
Fe (0.0635, 0.0053, 0.6008)  1 O 1.99, 5 F 2.13-2.16
Fe (0.5220, 0.4717, 0.6992)  2 O 1.91, 3 F 2.04-2.09
Fe (0.5280, 0.4720, 0.5000)  2 O 1.94, 4 F 2.02-2.09
Fe (0.5283, 0.4780, 0.3008)  2 O 1.91, 3 F 2.04-2.09
Fe (0.5431, 0.4450, 0.1048)  2 O 2.03-2.08, 4 F 2.13-2.22
Fe (0.5550, 0.4569, 0.8952)  2 O 2.03-2.08, 4 F 2.13-2.22
Fe (0.9829, 0.9501, 0.8060)  2 O 1.87-1.91, 2 F 2.07-2.08
Fe (0.9947, 0.9365, 0.3992)  1 O 1.99, 5 F 2.13-2.16
O (0.3393, 0.2814, 0.2104)  3 Fe 1.87-2.08
O (0.3593, 0.3040, 0.5998)  3 Fe 1.91-1.99
O (0.6960, 0.6407, 0.4002)  3 Fe 1.91-1.99
O (0.7186, 0.6607, 0.7896)  3 Fe 1.87-2.08
O (0.8389, 0.1512, 0.9005)  3 Fe 1.89-2.03
O (0.8488, 0.1611, 0.0995)  3 Fe 1.89-2.03
F (0.2192, 0.7663, 0.9011)  3 Fe 2.08-2.22
F (0.2246, 0.7740, 0.7050)  3 Fe 2.06-2.15
F (0.2260, 0.7754, 0.2950)  3 Fe 2.06-2.15
F (0.2337, 0.7663, 0.5000)  3 Fe 2.02-2.13
F (0.2337, 0.7808, 0.0989)  3 Fe 2.08-2.22
F (0.3126, 0.2540, 0.7908)  3 Fe 2.04-2.21
F (0.3155, 0.2598, 0.4018)  3 Fe 2.09-2.16
F (0.3310, 0.2640, 0.9974)  3 Fe 2.01-2.14
F (0.7360, 0.6690, 0.0026)  3 Fe 2.01-2.14
F (0.7402, 0.6845, 0.5982)  3 Fe 2.09-2.16
F (0.7460, 0.6874, 0.2092)  3 Fe 2.04-2.21
F (0.8234, 0.1766, 0.5000)  3 Fe 2.03-2.13
_Written answer_
F (0.5000, 0.2324, 0.2254)  3 Fe 2.03-2.14
F (0.5000, 0.5286, 0.8268)  3 Fe 2.08-2.18

Computed properties:
As for the energy above the most stable polymorph in this dataset: 0.038 eV/atom. The formation energy from the elements comes out at -220.3 kJ per mole of atoms. For the magnetization, the calculation gives 18.000 μB per cell.

[2]
Density functional theory data (PBE with a Hubbard U) for a geometry-optimized Fe6O7F5 structure.

Cell lengths 4.7828, 5.6561, 7.7140 Å; angles 84.59, 87.83, 86.38 degrees
Closest atoms and distances in Å follow each position.
Fractional positions:
Fe (0.0000, 0.0000, 0.0000)  3 O 1.92-1.95, 3 F 2.06-2.09
Fe (0.0039, 0.3119, 0.6582)  3 O 1.94-2.00, 3 F 1.99-2.10
Fe (0.0410, 0.6724, 0.3269)  3 O 1.90-2.00, 3 F 2.01-2.12
Fe (0.4797, 0.1401, 0.3201)  5 O 1.92-2.01
Fe (0.5310, 0.4768, 0.9933)  3 O 1.93-2.02, 3 F 2.08-2.10
Fe (0.5741, 0.8453, 0.6585)  4 O 1.95-2.04, 1 F 2.14
O (0.2067, 0.9452, 0.2130)  3 Fe 1.90-2.01
O (0.3227, 0.4486, 0.2266)  3 Fe 1.94-2.02
O (0.3236, 0.1224, 0.5530)  3 Fe 1.92-2.04
O (0.7012, 0.1850, 0.1047)  3 Fe 1.92-1.94
O (0.7165, 0.5300, 0.7635)  3 Fe 1.96-1.99
O (0.7168, 0.8712, 0.4182)  3 Fe 1.95-2.00
O (0.8342, 0.0334, 0.7714)  3 Fe 1.94-1.97
F (0.2084, 0.6180, 0.5631)  2 Fe 2.01-2.10
F (0.2164, 0.2904, 0.8924)  3 Fe 2.09-2.10
F (0.3212, 0.7890, 0.8915)  3 Fe 2.08-2.14
F (0.8242, 0.6859, 0.0908)  3 Fe 2.06-2.12
F (0.8318, 0.3788, 0.4263)  2 Fe 1.99-2.06

Computed properties:
As for the energy above the most stable polymorph in this dataset: 0.015 eV/atom. The formation energy from the elements comes out at -183.3 kJ per mole of atoms. For the magnetization, the calculation gives 29.001 μB per cell.

[3]
Density functional theory data (PBE with a Hubbard U) for a geometry-optimized Fe5O3F7 structure.

Cell lengths 4.7975, 4.7975, 15.6822 Å; angles 90.31, 90.31, 91.39 degrees
Closest atoms and distances in Å follow each position.
Fractional positions:
Fe (0.0000, 0.0000, 0.0000)  2 O 1.89, 2 F 2.01
Fe (0.0499, 0.0171, 0.1940)  2 O 1.87-1.91, 2 F 2.07-2.08
Fe (0.0635, 0.0053, 0.6008)  1 O 1.99, 5 F 2.13-2.16
Fe (0.5220, 0.4717, 0.6992)  2 O 1.91, 3 F 2.04-2.09
Fe (0.5280, 0.4720, 0.5000)  2 O 1.94, 4 F 2.02-2.09
Fe (0.5283, 0.4780, 0.3008)  2 O 1.91, 3 F 2.04-2.09
Fe (0.5431, 0.4450, 0.1048)  2 O 2.03-2.08, 4 F 2.13-2.22
Fe (0.5550, 0.4569, 0.8952)  2 O 2.03-2.08, 4 F 2.13-2.22
Fe (0.9829, 0.9501, 0.8060)  2 O 1.87-1.91, 2 F 2.07-2.08
Fe (0.9947, 0.9365, 0.3992)  1 O 1.99, 5 F 2.13-2.16
O (0.3393, 0.2814, 0.2104)  3 Fe 1.87-2.08
O (0.3593, 0.3040, 0.5998)  3 Fe 1.91-1.99
O (0.6960, 0.6407, 0.4002)  3 Fe 1.91-1.99
O (0.7186, 0.6607, 0.7896)  3 Fe 1.87-2.08
O (0.8389, 0.1512, 0.9005)  3 Fe 1.89-2.03
O (0.8488, 0.1611, 0.0995)  3 Fe 1.89-2.03
F (0.2192, 0.7663, 0.9011)  3 Fe 2.08-2.22
F (0.2246, 0.7740, 0.7050)  3 Fe 2.06-2.15
F (0.2260, 0.7754, 0.2950)  3 Fe 2.06-2.15
F (0.2337, 0.7663, 0.5000)  3 Fe 2.02-2.13
F (0.2337, 0.7808, 0.0989)  3 Fe 2.08-2.22
F (0.3126, 0.2540, 0.7908)  3 Fe 2.04-2.21
F (0.3155, 0.2598, 0.4018)  3 Fe 2.09-2.16
F (0.3310, 0.2640, 0.9974)  3 Fe 2.01-2.14
F (0.7360, 0.6690, 0.0026)  3 Fe 2.01-2.14
F (0.7402, 0.6845, 0.5982)  3 Fe 2.09-2.16
F (0.7460, 0.6874, 0.2092)  3 Fe 2.04-2.21
F (0.8234, 0.1766, 0.5000)  3 Fe 2.03-2.13